_Job_
The reader should retype the lines further below from the first line to the one with "0.7330" exactly.

_Given_
+++
This entry pairs a crystal structure of GeH3F8 with its simulated powder X-ray diffraction pattern. Radiation: copper Kα. Structure: a crystal structure in Alexandria, relaxed with GGA-PBE.
Lines closer than 0.1° are merged.

Largest 10 diffraction maxima, in order of falling intensity, 2θ from 10° to 90°:
2θ = 12.48°, d 7.094, I = 100.0, hkl 0 2 0
2θ = 17.47°, d 5.075, I = 66.6, hkl 0 1 1
2θ = 20.58°, d 4.315, I = 52.6, hkl 0 2 1
2θ = 36.21°, d 2.481, I = 20.9, hkl 1 4 1
2θ = 16.31°, d 5.435, I = 20.8, hkl 0 0 1
2θ = 26.30°, d 3.388, I = 18.3, hkl 1 1 -1
2θ = 19.59°, d 4.531, I = 17.1, hkl 1 0 0
2θ = 24.96°, d 3.568, I = 16.4, hkl 0 3 1
2θ = 23.29°, d 3.819, I = 15.0, hkl 1 2 0
2θ = 43.19°, d 2.095, I = 14.8, hkl 1 3 -2

a = 4.5309 Å, b = 14.1888 Å, c = 5.4348 Å
α = 90.00°, β = 90.31°, γ = 90.00°
Sites, in units of the cell vectors:
Ge 0.1119 0.0000 0.3674
Ge 0.8881 0.5000 0.6326
H 0.1534 0.8239 0.6538
H 0.1932 0.2582 0.1541
H 0.4022 0.4228 0.8050
H 0.5978 0.9228 0.1950
H 0.8068 0.7582 0.8459
H 0.8466 0.3239 0.3462
F 0.0125 0.5737 0.8751
F 0.0721 0.7612 0.6868
F 0.1450 0.5445 0.4051
F 0.1514 0.4049 0.7284
F 0.2677 0.9207 0.5934
F 0.3738 0.2611 0.0546
F 0.3769 0.9400 0.1324
F 0.3972 0.0884 0.4248
F 0.6028 0.5884 0.5752
F 0.6231 0.4400 0.8676
F 0.6262 0.7611 0.9454
F 0.7323 0.4207 0.4066
F 0.8486 0.9049 0.2716
F 0.8550 0.0445 0.5949
F 0.9279 0.2612 0.3132
F 0.9875 0.0737 0.1249


This entry pairs a crystal structure of GeHF4 with its simulated powder X-ray diffraction pattern. Radiation: copper Kα. Structure: a crystal structure in Alexandria, relaxed with GGA-PBE.
Lines closer than 0.1° are merged.

Largest 10 diffraction maxima, in order of falling intensity, 2θ from 10° to 90°:
2θ = 22.41°, d 3.968, I = 100.0, hkl 1 0 1
2θ = 36.60°, d 2.455, I = 40.6, hkl 1 1 2
2θ = 44.37°, d 2.042, I = 27.0, hkl 2 1 1
2θ = 26.47°, d 3.367, I = 18.2, hkl 1 1 0
2θ = 57.99°, d 1.590, I = 16.4, hkl 1 2 3
2θ = 45.74°, d 1.984, I = 13.7, hkl 2 0 2
2θ = 42.29°, d 2.137, I = 12.8, hkl 1 0 3
2θ = 24.82°, d 3.587, I = 10.6, hkl 0 0 2
2θ = 65.11°, d 1.433, I = 9.9, hkl 2 0 4
2θ = 72.81°, d 1.299, I = 8.2, hkl 3 2 1

a = 4.7622 Å, b = 4.7622 Å, c = 7.1742 Å
α = 90.00°, β = 90.00°, γ = 90.00°
Sites, in units of the cell vectors:
Ge 0.0000 0.0000 0.0000
Ge 0.5000 0.5000 0.5000
H 0.0000 0.5000 0.7500
H 0.5000 0.0000 0.2500
F 0.1714 0.7069 0.8646
F 0.2069 0.3286 0.6354
F 0.2931 0.1714 0.1354
F 0.3286 0.7931 0.3646
F 0.6714 0.2069 0.3646
F 0.7069 0.8286 0.1354
F 0.7931 0.6714 0.6354
F 0.8286 0.2931 0.8646


This entry pairs a crystal structure of GeH10N4F6 with its simulated powder X-ray diffraction pattern. Radiation: copper Kα. Structure: a crystal structure in Alexandria, relaxed with GGA-PBE.
Lines closer than 0.1° are merged.

Largest 10 diffraction maxima, in order of falling intensity, 2θ from 10° to 90°:
2θ = 18.19°, d 4.878, I = 100.0, hkl 0 1 1
2θ = 15.23°, d 5.819, I = 55.0, hkl 1 0 0
2θ = 18.45°, d 4.810, I = 37.2, hkl 1 0 -2
2θ = 25.16°, d 3.540, I = 32.3, hkl 1 1 1
2θ = 29.24°, d 3.054, I = 30.3, hkl 1 1 -3
2θ = 15.39°, d 5.758, I = 29.0, hkl 0 0 2
2θ = 24.57°, d 3.623, I = 23.7, hkl 1 0 2
2θ = 28.56°, d 3.126, I = 21.0, hkl 0 1 3
2θ = 46.16°, d 1.966, I = 20.8, hkl 0 2 4
2θ = 22.37°, d 3.974, I = 19.8, hkl 1 1 -1

a = 6.0535 Å, b = 5.3854 Å, c = 11.9802 Å
α = 90.00°, β = 106.02°, γ = 90.00°
Sites, in units of the cell vectors:
Ge 0.0000 0.0000 0.0000
Ge 0.0000 0.5000 0.5000
H 0.1700 0.1527 0.6949
H 0.1700 0.3473 0.1949
H 0.2284 0.5323 0.3129
H 0.2284 0.9677 0.8129
H 0.2797 0.1185 0.3650
H 0.2797 0.3815 0.8650
H 0.4230 0.5054 0.2330
H 0.4230 0.9946 0.7330
H 0.4764 0.7267 0.5953
H 0.4764 0.7733 0.0953
H 0.5236 0.2267 0.9047
H 0.5236 0.2733 0.4047
H 0.5770 0.0054 0.2670
H 0.5770 0.4946 0.7670
H 0.7203 0.6185 0.1350
H 0.7203 0.8815 0.6350
H 0.7716 0.0323 0.1871
H 0.7716 0.4677 0.6871
H 0.8300 0.6527 0.8051
H 0.8300 0.8473 0.3051
N 0.2998 0.0909 0.7655
N 0.2998 0.4091 0.2655
N 0.4057 0.1977 0.3342
N 0.4057 0.3023 0.8342
N 0.5943 0.6977 0.1658
+++

_Solution_
This entry pairs a crystal structure of GeH3F8 with its simulated powder X-ray diffraction pattern. Radiation: copper Kα. Structure: a crystal structure in Alexandria, relaxed with GGA-PBE.
Lines closer than 0.1° are merged.

Largest 10 diffraction maxima, in order of falling intensity, 2θ from 10° to 90°:
2θ = 12.48°, d 7.094, I = 100.0, hkl 0 2 0
2θ = 17.47°, d 5.075, I = 66.6, hkl 0 1 1
2θ = 20.58°, d 4.315, I = 52.6, hkl 0 2 1
2θ = 36.21°, d 2.481, I = 20.9, hkl 1 4 1
2θ = 16.31°, d 5.435, I = 20.8, hkl 0 0 1
2θ = 26.30°, d 3.388, I = 18.3, hkl 1 1 -1
2θ = 19.59°, d 4.531, I = 17.1, hkl 1 0 0
2θ = 24.96°, d 3.568, I = 16.4, hkl 0 3 1
2θ = 23.29°, d 3.819, I = 15.0, hkl 1 2 0
2θ = 43.19°, d 2.095, I = 14.8, hkl 1 3 -2

a = 4.5309 Å, b = 14.1888 Å, c = 5.4348 Å
α = 90.00°, β = 90.31°, γ = 90.00°
Sites, in units of the cell vectors:
Ge 0.1119 0.0000 0.3674
Ge 0.8881 0.5000 0.6326
H 0.1534 0.8239 0.6538
H 0.1932 0.2582 0.1541
H 0.4022 0.4228 0.8050
H 0.5978 0.9228 0.1950
H 0.8068 0.7582 0.8459
H 0.8466 0.3239 0.3462
F 0.0125 0.5737 0.8751
F 0.0721 0.7612 0.6868
F 0.1450 0.5445 0.4051
F 0.1514 0.4049 0.7284
F 0.2677 0.9207 0.5934
F 0.3738 0.2611 0.0546
F 0.3769 0.9400 0.1324
F 0.3972 0.0884 0.4248
F 0.6028 0.5884 0.5752
F 0.6231 0.4400 0.8676
F 0.6262 0.7611 0.9454
F 0.7323 0.4207 0.4066
F 0.8486 0.9049 0.2716
F 0.8550 0.0445 0.5949
F 0.9279 0.2612 0.3132
F 0.9875 0.0737 0.1249


This entry pairs a crystal structure of GeHF4 with its simulated powder X-ray diffraction pattern. Radiation: copper Kα. Structure: a crystal structure in Alexandria, relaxed with GGA-PBE.
Lines closer than 0.1° are merged.

Largest 10 diffraction maxima, in order of falling intensity, 2θ from 10° to 90°:
2θ = 22.41°, d 3.968, I = 100.0, hkl 1 0 1
2θ = 36.60°, d 2.455, I = 40.6, hkl 1 1 2
2θ = 44.37°, d 2.042, I = 27.0, hkl 2 1 1
2θ = 26.47°, d 3.367, I = 18.2, hkl 1 1 0
2θ = 57.99°, d 1.590, I = 16.4, hkl 1 2 3
2θ = 45.74°, d 1.984, I = 13.7, hkl 2 0 2
2θ = 42.29°, d 2.137, I = 12.8, hkl 1 0 3
2θ = 24.82°, d 3.587, I = 10.6, hkl 0 0 2
2θ = 65.11°, d 1.433, I = 9.9, hkl 2 0 4
2θ = 72.81°, d 1.299, I = 8.2, hkl 3 2 1

a = 4.7622 Å, b = 4.7622 Å, c = 7.1742 Å
α = 90.00°, β = 90.00°, γ = 90.00°
Sites, in units of the cell vectors:
Ge 0.0000 0.0000 0.0000
Ge 0.5000 0.5000 0.5000
H 0.0000 0.5000 0.7500
H 0.5000 0.0000 0.2500
F 0.1714 0.7069 0.8646
F 0.2069 0.3286 0.6354
F 0.2931 0.1714 0.1354
F 0.3286 0.7931 0.3646
F 0.6714 0.2069 0.3646
F 0.7069 0.8286 0.1354
F 0.7931 0.6714 0.6354
F 0.8286 0.2931 0.8646


This entry pairs a crystal structure of GeH10N4F6 with its simulated powder X-ray diffraction pattern. Radiation: copper Kα. Structure: a crystal structure in Alexandria, relaxed with GGA-PBE.
Lines closer than 0.1° are merged.

Largest 10 diffraction maxima, in order of falling intensity, 2θ from 10° to 90°:
2θ = 18.19°, d 4.878, I = 100.0, hkl 0 1 1
2θ = 15.23°, d 5.819, I = 55.0, hkl 1 0 0
2θ = 18.45°, d 4.810, I = 37.2, hkl 1 0 -2
2θ = 25.16°, d 3.540, I = 32.3, hkl 1 1 1
2θ = 29.24°, d 3.054, I = 30.3, hkl 1 1 -3
2θ = 15.39°, d 5.758, I = 29.0, hkl 0 0 2
2θ = 24.57°, d 3.623, I = 23.7, hkl 1 0 2
2θ = 28.56°, d 3.126, I = 21.0, hkl 0 1 3
2θ = 46.16°, d 1.966, I = 20.8, hkl 0 2 4
2θ = 22.37°, d 3.974, I = 19.8, hkl 1 1 -1

a = 6.0535 Å, b = 5.3854 Å, c = 11.9802 Å
α = 90.00°, β = 106.02°, γ = 90.00°
Sites, in units of the cell vectors:
Ge 0.0000 0.0000 0.0000
Ge 0.0000 0.5000 0.5000
H 0.1700 0.1527 0.6949
H 0.1700 0.3473 0.1949
H 0.2284 0.5323 0.3129
H 0.2284 0.9677 0.8129
H 0.2797 0.1185 0.3650
H 0.2797 0.3815 0.8650
H 0.4230 0.5054 0.2330
H 0.4230 0.9946 0.7330